Another Napoleonic Germany 1813 clash now, with our take on the Battle of Mockern. Again using a free download from the nice chaps at KISR:
For our game, we put ALL the forces on the table at once. A bit tougher for the French (yours truly), whilst General Amy took the Allies. the game would last 21 turns, the first to ten points would be the winner. 3 points were awarded for the capture of Mockern, which would be classed as a BUA Built Up Area for a defender, resulting in a big defence bonus. The other villages would be classed as Fortifications. Again DBN rules.
The French forces took a defensive line from Mockern to Podelwitz, impregnable I thought till Amy put on her troops, 'EErrmm' I then thought....
Prussian troops advance at Mockern 1813 |
The Battlefield, Russians in Green, Prussians in Dark Blue |
Mockern with French Marines in support. |
The Russian lines |
The Russian Grand Battery opens up on the French Artillery entrenched on the hill |
Next to the text, the page also holds data records >
/*
(1)
First-principles (PBE-GGA) data for a geometry-optimized Tb2TmIn3 structure, as listed in Alexandria via LeMat-Bulk.

The space group is Cmmm (No. 65) and the conventional cell measures 5.310, 15.937 and 7.503 Å, with angles of 90.00, 90.00 and 90.00 degrees. Symmetry generates all atoms from Tb at (0.000, 0.000, 0.000), Tb at (0.000, 0.000, 0.500), Tb at (0.000, 0.334, 0.000), Tm at (0.000, 0.333, 0.500), In at (0.000, 0.168, 0.254) and In at (0.000, 0.500, 0.254).

The density of states at the Fermi level is 11.4 states/eV per cell. As for the calculated formation energy: -460 meV per atom.

---

(2)
First-principles (PBE-GGA) data for a geometry-optimized TbTm5In2 structure, as listed in Alexandria via LeMat-Bulk.

The space group is Immm (No. 71) and the conventional cell measures 3.523, 10.362 and 12.620 Å, with angles of 90.00, 90.00 and 90.00 degrees. Symmetry generates all atoms from Tb at (0.000, 0.000, 0.000), Tm at (0.000, 0.228, 0.367), Tm at (0.000, 0.500, 0.000) and In at (0.000, 0.500, 0.259).

The density of states at the Fermi level is 20.9 states/eV per cell. As for the calculated formation energy: -171 meV per atom.

---

(3)
First-principles (PBE-GGA) data for a geometry-optimized Tb15Tm4In structure, as listed in Alexandria via LeMat-Bulk.

The space group is P4/mmm (No. 123) and the conventional cell measures 4.963, 4.963 and 25.108 Å, with angles of 90.00, 90.00 and 90.00 degrees. Symmetry generates all atoms from Tb at (0.000, 0.000, 0.000), Tb at (0.000, 0.000, 0.197), Tb at (0.000, 0.000, 0.399), Tb at (0.000, 0.500, 0.097), Tb at (0.000, 0.500, 0.299), Tb at (0.000, 0.500, 0.500), Tm at (0.500, 0.500, 0.198), Tm at (0.500, 0.500, 0.400) and In at (0.500, 0.500, 0.000).

The density of states at the Fermi level is 24.9 states/eV per cell. As for the calculated formation energy: -36 meV per atom.

---

(4)
First-principles (PBE-GGA) data for a geometry-optimized Tb4Tm3In2 structure, as listed in Alexandria via LeMat-Bulk.

The space group is P-1 (No. 2) and the conventional cell measures 5.272, 6.718 and 8.378 Å, with angles of 76.35, 89.95 and 66.91 degrees. Symmetry generates all atoms from Tb at (0.119, 0.263, 0.158), Tb at (0.331, 0.837, 0.534), Tm at (0.000, 0.500, 0.500), Tm at (0.423, 0.653, 0.151) and In at (0.210, 0.080, 0.817).

The density of states at the Fermi level is 9.3 states/eV per cell. As for the calculated formation energy: -190 meV per atom.

---

(5)
First-principles (PBE-GGA) data for a geometry-optimized Tb7TmIn3 structure, as listed in Alexandria via LeMat-Bulk.

The space group is C2/m (No. 12) and the conventional cell measures 11.405, 11.770 and 5.789 Å, with angles of 90.00, 119.92 and 90.00 degrees. Symmetry generates all atoms from Tb at (0.000, 0.000, 0.000), Tb at (0.171, 0.500, 0.168), Tb at (0.179, 0.287, 0.681), Tm at (0.000, 0.000, 0.500), In at (0.000, 0.264, 0.000) and In at (0.000, 0.500, 0.500).
*/
The Prussian Infantry advance |
The fortifications count for nothing as the French Artillery is destroyed. |
Mass Cavalry clash in the north, as the Infantry engage. |
Up close, Prussian Elite troops attack the French |
But are forced back... |
Elite French Marines would form the backbone of the French defence, they fought well. |
Turn 6 & the French reinforcements arrive |
Amy forces the Prussians forward again & again. |
Prussian & French Cavalry, a back & forth clash all day |
The French attack forcing back the Prussians |
First blood to Ze French.... |
The Russian attack on Mockern starts... |
To take Mockern would take a lot of units. The hill would have to be taken first.... |
Awesome.... Mass Cavalry clash. 2 Nil to the French |
Another view of the battlefield, from behind the Allied lines.... |
As Harry Hill would say.... FFFFFIIIIIIGHT!!!!!!!!!! |
The Prussians storm Podelwitz.... |
Resulting in them capturing it (I know it's a Russian comments |
Oh no, the shame!! A 'winded' French Cavalry Brigade is destroyed by.... Cossacks UUUrrggh! |
The Russians take the French Fortifications on Mockern hill. |
The Allied Cavalry is winning |
But Hey! Superb French counter attacks destroys the Prussians.... |
Onward roll the Russians.... |
Casualties in the North, change the face of the battle.... |
Amy launches her Prussian Landwher units into the battle.. |
AAArrggh! The Prussian Elite Grenadiers finally show their stuff!!!! |
Amy unleashes the Russian Grand Battery on Mockern |
A few rounds of movement & the Allied attack goes in... |
In the North both sides take time to re-organise.... |
The lines clash in the South.... |
Who would take the day??? |
The Russian guns go BOOM BOOM BOOOOOMMM!!!! |
Breakthrough by the Prussian Grenadiers.... |
AAArrghhh! The Russians as well! |
D'Oh! Crappy PiP dice for the French when they are needed..... |
In go the French Cavalry for a last Huzzah! |
Prussian Cannister & 'heroic' Landwher musketry sends them packing... |
Allied Cavalry looks to exploit the breakthrough in the French Lines... |
The French Cavalry counter attack fizzles out.... |
FeldMarshall Amy is winning the day.. again!!! |
I withdraw the remnants of the French in the North to 'save casualties' |
Rahoo! The Heroic French Marines!!! |
Amy forces my forces back & launches a Mass Attack on Mockern...... |
Mockern Falls!!! Victory for Amy's Pwussians & Wussians!!! |
The Final Battlefield..... A good scrap |
Grand FeldMarshall PiPPin Von Krums After Action Analysis
Rolling poor PiP dice is never helpful
'Cavalry attacks without infantry support'...tsk tsk tsk
I LOVE BONIO's ruff ruff ruff